Solar Energy

Solar Energy is the conversion of energy from sunlight into electricity, either directly using photovoltaics (PV), indirectly using concentrated solar power, or a combination. Concentrated solar power systems use lenses or mirrors and tracking systems to focus a large area of sunlight into a small beam.

Photovoltaic solar cells convert sunlight directly into electricity by the so-called photovoltaic effect, by which certain materials are able to absorb photons (light particles) and liberate electrons, generating an electric current. On the other hand, solar thermal collectors use panels or mirrors to absorb and concentrate the Sun’s heat, transferring it to a fluid and conducting it through pipes to use it in buildings and installations, and also for electricity production (solar thermoelectric).

Inserted here: data records >
/*
(1)
{
  "formula": "Cr3Fe2Sb3O16",
  "functional": "GGA+U",
  "state": "relaxed",
  "lattice": [[5.242, -3.036, 0.000], [5.242, 3.036, 0.000], [-0.034, 0.000, 9.166]],
  "species": ["Cr", "Cr", "Cr", "Fe", "Fe", "Sb", "Sb", "Sb", "O", "O", "O", "O", "O", "O", "O", "O", "O", "O", "O", "O", "O", "O", "O", "O"],
  "fractional_positions": [[0.000, 0.000, 0.000], [0.338, 0.835, 0.500], [0.835, 0.338, 0.500], [0.513, 0.513, 0.221], [0.844, 0.844, 0.714], [0.000, 0.504, 0.998], [0.338, 0.338, 0.499], [0.504, 0.000, 0.998], [0.005, 0.005, 0.598], [0.124, 0.689, 0.873], [0.168, 0.168, 0.889], [0.170, 0.170, 0.395], [0.220, 0.653, 0.373], [0.335, 0.335, 0.110], [0.340, 0.839, 0.109], [0.502, 0.999, 0.607], [0.503, 0.503, 0.612], [0.645, 0.645, 0.385], [0.653, 0.220, 0.373], [0.687, 0.687, 0.869], [0.689, 0.124, 0.873], [0.835, 0.835, 0.116], [0.839, 0.340, 0.109], [0.999, 0.502, 0.607]],
  "e_tot_ev_per_atom": -6.670,
  "sg": "Cm"
}

(2)
{
  "formula": "RbTaV2O8",
  "functional": "GGA+U",
  "state": "relaxed",
  "lattice": [[15.203, 0.000, 0.000], [0.000, 5.686, 0.000], [0.000, 0.000, 9.209]],
  "species": ["Rb", "Rb", "Rb", "Rb", "Ta", "Ta", "Ta", "Ta", "V", "V", "V", "V", "V", "V", "V", "V", "O", "O", "O", "O", "O", "O", "O", "O", "O", "O", "O", "O", "O", "O", "O", "O", "O", "O", "O", "O", "O", "O", "O", "O", "O", "O", "O", "O", "O", "O", "O", "O"],
  "fractional_positions": [[0.114, 0.250, 0.052], [0.386, 0.750, 0.552], [0.614, 0.250, 0.448], [0.886, 0.750, 0.948], [0.159, 0.250, 0.504], [0.341, 0.750, 0.004], [0.659, 0.250, 0.996], [0.841, 0.750, 0.496], [0.062, 0.750, 0.319], [0.162, 0.750, 0.753], [0.338, 0.250, 0.253], [0.438, 0.250, 0.819], [0.562, 0.750, 0.181], [0.662, 0.750, 0.747], [0.838, 0.250, 0.247], [0.938, 0.250, 0.681], [0.037, 0.250, 0.579], [0.040, 0.750, 0.143], [0.056, 0.750, 0.786], [0.126, 0.004, 0.361], [0.126, 0.496, 0.361], [0.191, 0.003, 0.649], [0.191, 0.497, 0.649], [0.220, 0.750, 0.923], [0.280, 0.250, 0.423], [0.309, 0.503, 0.149], [0.309, 0.997, 0.149], [0.374, 0.504, 0.861], [0.374, 0.996, 0.861], [0.444, 0.250, 0.286], [0.460, 0.250, 0.643], [0.463, 0.750, 0.079], [0.537, 0.250, 0.921], [0.540, 0.750, 0.357], [0.556, 0.750, 0.714], [0.626, 0.004, 0.139], [0.626, 0.496, 0.139], [0.691, 0.003, 0.851], [0.691, 0.497, 0.851], [0.720, 0.750, 0.577], [0.780, 0.250, 0.077], [0.809, 0.503, 0.351], [0.809, 0.997, 0.351], [0.874, 0.504, 0.639], [0.874, 0.996, 0.639], [0.944, 0.250, 0.214], [0.960, 0.250, 0.857], [0.963, 0.750, 0.421]],
  "e_tot_ev_per_atom": -7.839,
  "sg": "Pnma"
}

no.,ΔE_f (eV/atom)
1,-1.84
2,-2.70


This record from Materials Project describes crystalline Ho5Ge10Rh4 at its relaxed geometry. The functional is PBE-GGA.

CIF file:
```
data_Ho5Ge10Rh4
_chemical_formula_sum 'Ho10 Ge20 Rh8'
_cell_length_a 13.0541
_cell_length_b 13.0541
_cell_length_c 4.3008
_cell_angle_alpha 90.00
_cell_angle_beta 90.00
_cell_angle_gamma 90.00
_space_group_name_H-M_alt 'P 4/m b m'
_space_group_IT_number 127
*/
Back to the entry >

Benefits of Solar Energy
Every year, solar systems generate more than 20 times the power needed to meet the world's energy needs. And yet, this technology still represents only 1% of global power generating capacity.

Solar energy offers many benefits that make it one of the most promising energy forms. Renewable, non-polluting and available planet-wide, it contributes to sustainable development and job creation where it is installed.
Likewise, the simplicity of this technology makes it ideal for using in rural or difficultly accessed areas isolated from the network.
Solar energy is also useful for generating electricity on a large scale and injecting it into the network, especially in regions where the meteorology provides for lots of hours of sun per year.
Solar capture modules are relatively easy to maintain, which, along with the continuing, sharp reduction in cost of photovoltaic cells, explains the present favorable outlook for solar technology. Solar plants also do not emit polluting gases and are silent.

• Renewable
• Inexhaustible
• Non-polluting
• Avoids global warming
• Reduces use of fossil fuels
• Reduces energy imports
• Generates local wealth and jobs
• Contributes to sustainable development
• It is modular and very versatile, adaptable to different situations
• Can be applied alike for large-scale electricity generation and on a small scale in areas isolated from the network.

Earth Energy Budget 

____________
Record 1
# GGA-PBE SiO2, relaxed
data_SiO2
_chemical_formula_sum 'Si12 O24'
_space_group_name_H-M_alt 'P n n m'
_space_group_IT_number 58
_cell_length_a 5.0295
_cell_length_b 8.3899
_cell_length_c 14.1411
_cell_angle_alpha 90.00
_cell_angle_beta 90.00
_cell_angle_gamma 90.00
loop_
_space_group_symop_operation_xyz
'x,y,z'
'-x,-y,-z'
'-x,-y,z'
'x,y,-z'
'x+1/2,-y+1/2,-z+1/2'
'-x+1/2,y+1/2,z+1/2'
'-x+1/2,y+1/2,-z+1/2'
'x+1/2,-y+1/2,z+1/2'
loop_
_atom_site_label
_atom_site_fract_x
_atom_site_fract_y
_atom_site_fract_z
Si1 0.1159 0.1810 0.2018
Si2 0.2474 0.1176 0.0000
O1 0.0000 0.0000 0.0000
O2 0.0000 0.0000 0.2080
O3 0.0000 0.5000 0.5000
O4 0.1316 0.6993 0.2261
O5 0.2311 0.2246 0.0960
# MP2020-corrected energy in eV/cell: -299.69

=====

Record 2
# GGA-PBE Ca3Al2O12, relaxed
data_Ca3Al2O12
_chemical_formula_sum 'Ca24 Al16 O96'
_space_group_name_H-M_alt 'I a -3 d'
_space_group_IT_number 230
_space_group_name_Hall '-I 4bd 2c 3'
_cell_length_a 12.9690
_cell_length_b 12.9690
_cell_length_c 12.9690
_cell_angle_alpha 90.00
_cell_angle_beta 90.00
_cell_angle_gamma 90.00
loop_
_atom_site_label
_atom_site_fract_x
_atom_site_fract_y
_atom_site_fract_z
Ca1 0.0000 0.2500 0.1250
Al1 0.0000 0.0000 0.0000
O1 0.0091 0.0551 0.6311
# MP2020-corrected energy in eV/cell: -826.89

=====

Record 3
# GGA-PBE Ca3Sn2S7, relaxed
data_Ca3Sn2S7
_chemical_formula_sum 'Ca12 Sn8 S28'
_space_group_name_H-M_alt 'C m c 21'
_space_group_IT_number 36
_cell_length_a 23.3826
_cell_length_b 6.8076
_cell_length_c 7.2008
_cell_angle_alpha 90.00
_cell_angle_beta 90.00
_cell_angle_gamma 90.00
loop_
_space_group_symop_operation_xyz
'x,y,z'
'-x,-y,z+1/2'
'-x,y,z'
'x,-y,z+1/2'
'x+1/2,y+1/2,z'
'-x+1/2,-y+1/2,z+1/2'
'-x+1/2,y+1/2,z'
'x+1/2,-y+1/2,z+1/2'
loop_
_atom_site_label
_atom_site_fract_x
_atom_site_fract_y
_atom_site_fract_z
Ca1 0.0000 0.2178 0.0000
Ca2 0.1878 0.2434 0.1855
Sn1 0.1038 0.2463 0.6009
S1 0.0000 0.3849 0.6385
S2 0.0746 0.0649 0.2825
S3 0.1319 0.4454 0.8939
S4 0.2049 0.1335 0.5522
# MP2020-corrected energy in eV/cell: -241.92

=====

Record 4
## Y3Co (GGA-PBE)

Data for crystalline Y3Co at its relaxed geometry.

```
data_Y3Co
_chemical_formula_sum 'Y12 Co4'
_space_group_name_H-M_alt 'P 1 21 1'
_space_group_IT_number 4
_cell_length_a 6.3383
_cell_length_b 9.4963
_cell_length_c 7.0127
_cell_angle_alpha 90.00
_cell_angle_beta 90.01
_cell_angle_gamma 90.00
loop_
_space_group_symop_operation_xyz
'x,y,z'
'-x,y+1/2,-z'
loop_
_atom_site_label
_atom_site_fract_x
_atom_site_fract_y
_atom_site_fract_z
Y1 0.1332 0.0000 0.0429
Y2 0.1732 0.3160 0.3290
Y3 0.1855 0.6792 0.3228
Y4 0.3236 0.3146 0.8250
Y5 0.3328 0.6792 0.8259
Y6 0.3584 0.9985 0.5462
Co1 0.0435 0.5107 0.6116
Co2 0.4579 0.4982 0.1101
```

=====

Record 5
# GGA-PBE Mn2Fe3Cu10Sn5S20, relaxed
data_Mn2Fe3Cu10Sn5S20
_chemical_formula_sum 'Mn4 Fe6 Cu20 Sn10 S40'
_space_group_name_H-M_alt 'I 2 2 2'
_space_group_IT_number 23
_cell_length_a 5.5282
_cell_length_b 10.8955
_cell_length_c 27.7008
_cell_angle_alpha 90.00
_cell_angle_beta 90.00
____________


Earth's energy budget accounts for the balance between energy Earth receives from the Sun, and energy Earth radiates back into outer space after having been distributed throughout the five components of Earth's climate system and having thus powered the so-called "Earth’s heat engine". This system is made up of earth's water, ice, atmosphere, rocky crust, and all living things. The Earth receives around 46% - 50% of the total Sun Energy. This Energy can only be used.

Some Basic facts about solar energy calculation

~~~
# r²SCAN KNp2F9, optimized geometry
data_KNp2F9
_space_group_name_H-M_alt 'P n m a'
_space_group_IT_number 62
_cell_length_a 8.684
_cell_length_b 11.398
_cell_length_c 6.918
_cell_angle_alpha 90.00
_cell_angle_beta 90.00
_cell_angle_gamma 90.00
loop_
_space_group_symop_operation_xyz
'x,y,z'
'-x,-y,-z'
'-x+1/2,-y,z+1/2'
'x+1/2,y,-z+1/2'
'x+1/2,-y+1/2,-z+1/2'
'-x+1/2,y+1/2,z+1/2'
'-x,y+1/2,-z'
'x,-y+1/2,z'
loop_
_atom_site_label
_atom_site_type_symbol
_atom_site_fract_x
_atom_site_fract_y
_atom_site_fract_z
K1 K 0.032 0.250 0.146
Np1 Np 0.172 0.050 0.658
F1 F 0.007 0.600 0.572
F2 F 0.067 0.576 0.192
F3 F 0.171 0.250 0.656
F4 F 0.209 0.098 0.971
F5 F 0.218 0.608 0.853
# - M_tot (Bohr magnetons per cell) = 24.0
# - energy of formation from the pure elements (meV/atom) = -3909
# - density (g cm⁻³) = 6.64
# - raw total energy (eV for the cell shown) = -988.45

# r²SCAN CrSbSe3, optimized geometry
data_CrSbSe3
_space_group_name_H-M_alt 'P n m a'
_space_group_IT_number 62
_cell_length_a 9.328
_cell_length_b 3.825
_cell_length_c 13.525
_cell_angle_alpha 90.00
_cell_angle_beta 90.00
_cell_angle_gamma 90.00
loop_
_space_group_symop_operation_xyz
'x,y,z'
'-x,-y,-z'
'-x+1/2,-y,z+1/2'
'x+1/2,y,-z+1/2'
'x+1/2,-y+1/2,-z+1/2'
'-x+1/2,y+1/2,z+1/2'
'-x,y+1/2,-z'
'x,-y+1/2,z'
loop_
_atom_site_label
_atom_site_type_symbol
_atom_site_fract_x
_atom_site_fract_y
_atom_site_fract_z
Cr1 Cr 0.156 0.250 0.044
Sb1 Sb 0.031 0.250 0.656
Se1 Se 0.002 0.750 0.107
Se2 Se 0.174 0.250 0.484
Se3 Se 0.213 0.750 0.710
# - M_tot (Bohr magnetons per cell) = 12.0
# - energy of formation from the pure elements (meV/atom) = -577
# - density (g cm⁻³) = 5.65
# - raw total energy (eV for the cell shown) = -346.39

# r²SCAN Ca5TaTi3AlSi5O25, optimized geometry
data_Ca5TaTi3AlSi5O25
_space_group_name_H-M_alt 'P -1'
_space_group_IT_number 2
_cell_length_a 5.435
_cell_length_b 7.045
_cell_length_c 24.912
_cell_angle_alpha 84.72
_cell_angle_beta 86.02
_cell_angle_gamma 76.19
loop_
_space_group_symop_operation_xyz
'x,y,z'
'-x,-y,-z'
loop_
_atom_site_label
_atom_site_type_symbol
_atom_site_fract_x
_atom_site_fract_y
_atom_site_fract_z
Ca1 Ca 0.037 0.313 0.066
Ca2 Ca 0.157 0.111 0.334
Ca3 Ca 0.245 0.691 0.468
Ca4 Ca 0.362 0.488 0.733
Ca5 Ca 0.437 0.118 0.866
Ta1 Ta 0.298 0.101 0.600
Ti1 Ti 0.100 0.200 0.199
Ti2 Ti 0.102 0.698 0.201
Ti3 Ti 0.500 0.000 0.000
Ti4 Ti 0.500 0.500 0.000
Al1 Al 0.301 0.599 0.601
Si1 Si 0.054 0.812 0.064
Si2 Si 0.150 0.579 0.337
Si3 Si 0.249 0.223 0.462
Si4 Si 0.346 0.984 0.737
Si5 Si 0.454 0.613 0.864
O1 O 0.001 0.537 0.786
O2 O 0.003 0.714 0.124
O3 O 0.023 0.634 0.552
O4 O 0.059 0.761 0.377
O5 O 0.070 0.544 0.662
O6 O 0.134 0.855 0.737
O7 O 0.142 0.638 0.023
O8 O 0.182 0.762 0.850
O9 O 0.197 0.123 0.523
O10 O 0.199 0.680 0.276
O11 O 0.200 0.936 0.186
O12 O 0.203 0.857 0.613
O13 O 0.218 0.040 0.950
O14 O 0.259 0.161 0.777
O15 O 0.265 0.945 0.063
O16 O 0.334 0.255 0.137
O17 O 0.341 0.039 0.423
O18 O 0.382 0.165 0.249
O19 O 0.399 0.342 0.587
O20 O 0.401 0.513 0.924
~~~
• Here the page continues:

  • The Solar irradiance is the sun’s radiant power represented in W/m2 or KW/m2. The solar constant is the average value of solar irradiance outside the earth’s atmosphere, about 1366 W/m2.
  • Typical peak value is 1000 W/m2 on a terrestrial surface facing the sun on the clear day around solar noon at the sea level, and used as a rating condition for PV modules and arrays.
    Solar irradiation is the sun’s radiant energy incident on a surface of unit area, expressed in units of KWh/m2.
    • Typically expressed on an average daily basis for a given month.
    • Also referred to as solar insolation or peak sun hours.
  • Solar irradiation (energy) is equal to the average solar irradiance (power) multiplied by time.
  • Peak sun hours (PSH) is the average daily amount of solar energy received on a surphace. PSH are equivalent to
    • The number of hours that the solar irradiance would be at a peak level of 1 KW/m2
    • Also the equivalent number of hours per day that a PV will operate at peak rated output levels at rated temperature.